Start and Grow Your Professional Live Video Show – Luria and David
• Data records, kept here for reference:
********
# C60H47Br2CoNO2P2Si

A structure of composition C60H47Br2CoNO2P2Si at a distorted geometry (ωB97M-V/def2-TZVPD, the Open Molecules 2025 dataset).

As for the electronic energy: -10022.5681 Ha. Its spin multiplicity is 2. The HOMO-LUMO gap (alpha / beta) comes out at 4.2840 / 4.2838 eV. The value obtained for the HOMO energy (alpha / beta) is -6.449 / -6.440 eV.

Geometry (Å):
Co: -0.5734 0.0595 -2.1377
C: 4.5789 -1.7657 4.7725
C: 3.2684 -0.9631 4.7013
C: 2.7960 -0.6120 6.1234
C: 2.2031 -1.8118 4.0260
C: 1.9096 -3.0949 4.4888
C: 0.9631 -3.8857 3.8721
C: 0.2447 -3.4013 2.7843
C: 0.4595 -2.1166 2.3174
P: -0.3946 -1.2657 0.9195
C: -1.5759 -2.5707 0.3428
C: -0.9027 -3.5958 -0.3038
C: -1.5433 -4.6941 -0.8892
C: -2.9595 -4.7501 -0.8980
C: -3.6931 -3.7797 -0.3176
C: -3.1107 -2.6122 0.4523
C: -1.3401 -0.0129 1.8953
C: -1.5870 1.2278 1.3042
C: -2.2666 2.2239 1.9913
C: -2.6964 1.9975 3.2930
C: -2.4386 0.7754 3.8996
C: -1.7605 -0.2212 3.2084
C: 1.4755 -1.3494 2.9401
O: 1.6755 -0.0999 2.4083
C: 2.7317 0.6857 2.8293
C: 2.9601 1.8545 2.0876
C: 3.9838 2.6935 2.5054
C: 4.7566 2.3711 3.6112
C: 4.5216 1.1968 4.3018
C: 3.5062 0.3230 3.9241
P: 1.9444 2.1698 0.5495
C: 1.9921 4.0048 0.5509
C: 2.4990 4.8225 -0.4536
C: 2.4303 6.2076 -0.3330
C: 1.8423 6.7886 0.7783
C: 1.3004 5.9788 1.7732
C: 1.3722 4.5998 1.6555
C: 3.1901 1.6081 -0.6760
C: 4.4066 2.2314 -0.9505
C: 5.3038 1.6555 -1.8379
C: 5.0040 0.4445 -2.4507
C: 3.8008 -0.1900 -2.1731
C: 2.8962 0.3928 -1.2937
H: 4.4496 -2.6717 5.3682
H: 5.3740 -1.1763 5.2318
H: 4.9011 -2.0541 3.7705
H: 2.5951 -1.5200 6.6978
H: 1.8795 -0.0200 6.0823
H: 3.5565 -0.0322 6.6523
H: 2.4332 -3.4835 5.3550
H: 0.7742 -4.8877 4.2402
H: -0.4745 -4.0445 2.2898
H: 0.1813 -3.5311 -0.3621
H: -0.9624 -5.4741 -1.3645
H: -3.4537 -5.5597 -1.4243
H: -4.7770 -3.8242 -0.3377
H: -3.2495 -0.4811 0.5002
H: -1.2543 1.4057 0.2910
H: -2.4569 3.1777 1.5114
H: -3.2265 2.7718 3.8346
H: -2.7721 0.5939 4.9153
H: -1.5747 -1.1733 3.6935
H: 4.1735 3.6176 1.9711
H: 5.5485 3.0380 3.9338
H: 5.1421 0.9574 5.1580
H: 2.9374 4.3823 -1.3410
H: 2.8379 6.8362 -1.1169
H: 1.8036 7.8670 0.8750
H: 0.8178 6.4224 2.6355
H: 0.9520 3.9683 2.4333
H: 4.6657 3.1678 -0.4706
H: 6.2461 2.1496 -2.0501
H: 5.7068 -0.0033 -3.1434
H: 3.5635 -1.1373 -2.6441
H: 1.9436 -0.0864 -1.0843
Br: 3.7891 1.4292 -4.0059
C: 2.0478 1.7672 -4.6588
C: 1.8934 2.3217 -5.9371
C: 0.6514 2.5636 -6.4534
Br: 0.5074 3.3064 -8.1953
C: -0.5107 2.2439 -5.7133
C: -1.8395 2.4305 -6.1520
C: -2.8810 2.0573 -5.3472
C: -2.6113 1.4874 -4.0968
N: -1.3904 1.2925 -3.6546
C: -0.3346 1.6675 -4.4364
C: 0.9679 1.4220 -3.8597
O: 1.0537 0.9074 -2.6786
H: 2.7743 2.5480 -6.5235
H: -2.0213 2.8684 -7.1236
H: -3.9078 2.1934 -5.6622
H: -3.4278 1.1897 -3.4445
C: -3.7399 -3.5440 -5.4074
C: -4.7116 -3.0222 -4.5603
C: -4.3402 -2.3603 -3.3988
C: -2.9900 -2.1914 -3.0671
C: -2.0252 -2.7173 -3.9360
C: -2.3946 -3.4007 -5.0863
Si: -2.3628 -1.1343 -1.6596
C: -3.5863 -1.2627 -0.1808
C: -5.0459 -1.0320 -0.3858
********
• End of the data records:


The “Start & Grow My LIVE Video Show” Implementation ProgramWe were frustrated by seeing so many amazing people like you with incredible knowledge or products that can HELP PEOPLE… if only you could reach more people!Thrown to the wayside by Facebook’s or YouTube’s algorithms.We hated seeing you put so much work into your LIVE streams only to find out that it’s NOT MAGIC like many people make it out to be.We wanted to put a STOP TO THE OVERWHELMand the FEAR that’s HOLDING YOU BACK!You got this!Step-by-step TRAINING, advice and the SUPPORT you need to use LIVE Video strategically to STAND OUTfrom the crowd, and GROW YOUR BUSINESS so that you can HELP MORE PEOPLE.12 years of LIVE Video Experience… broken down into what you need to know to get started… and then grow your show, and grow your business.This program will allow you to…STOP struggling with the TECH… with creating CONTENT… with the fear of being ON CAMERA…Finally get more VIEWS, ENGAGEMENT & SALES!Focus on GROWING your business and HELPING MORE PEOPLE!Get SUPPORT from a community who’ve been where you are, and have gotten results.Shortcode could not be renderedWhat’s this Program all about?Learn how to create a LIVE Video Show for CONSISTENT CONTENTLearn how to use “Life Streams” to buildMASSIVE TRUST & PROMOTE your LIVE Show strategically!Learn how to create a SCHEDULE andSTOP WASTING TIME!Beat Facebook Algorithms & take control of your VIEWS & ENGAGEMENT!Section 1: TECHThe 4 Levels of LIVE StreamingLevel 1: PhoneLevel 2: Browser Based Platforms (like or BeLive)Level 3: Software on a Laptop (like Ecamm or Wirecast)Level 4: TV Quality StudioLearn how to get setup and implement Levels 1 – 3 Understand the Pros & Cons of each & where YOU need to be to match your goals!Buying Guides so you don’t have to waste moneyPrivate Practice Group to PRACTICE your Tech Setup anytime you want!Section 2: CONTENTLIVE Video ESSENTIALS: All the little hidden details you need to know!What NOT TO DO in LIVE Video (just as important as what TO DO, right?!?)How to create a PURPOSEFUL & COHESIVE Content StrategyHow to generate IDEAS for your LIVE ShowHow to FORMAT & SCRIPT your show to maximize value & engagement!Sections 3 & 4: VIEWS, ENGAGEMENT & SALESHow to create a SUPER ENGAGED & DEDICATED COMMUNITYPromotion Strategies to get MORE VIEWS and more people to SHOW UP LIVE!How to be effective with SELLING on LIVE Video!GROW My Show with ADVANCED Strategies(Advanced Program)What’s this Program all about?Take your LIVE Video to the NEXT LEVEL with Level 4: TV QUALITY streams!Advance your KNOWLEDGE, your STRATEGIES& your RESULTS!GROW your audience even BIGGER!Create DEEP LOYALTY with advanced strategies on camera (and off)!Section 1: TECHLearn to setup Level 4 (TV Quality with a Dedicated PC + Software) Buying Guides so you don’t have to waste moneyPrivate Practice Group to PRACTICE your Tech Setup anytime you want!Section 2: CONTENTAdvanced Content Creation StrategiesAdvanced Show Flows (structure your show for maximum benefit)Generate more LEADS with “LIVE Video for Leads” ContentGenerate more SALES with “LIVE Video for Launches” ContentSections 3 & 4: VIEWS, ENGAGEMENT & SALESAdvanced Promotion Strategies to DRIVE TRAFFIC to your LIVE Show!Advanced Promotion Strategies to GENERATE BUZZ and promote your products!How to CREATE DEEP LOYALTY and ENGAGEMENT… even after they buy!In Person LIVE EventThe “LIVE Video Summit” is an in person event that will help you advance even further with your LIVE Video and Community Building Strategy.1 Day Advanced Training Sessions beyond your online program trainingHands On TECH Training with gear and software for you to touch and experienceAccess to LIVE Stream to watch training sessions if you can’t make it in personAccess to Replays of the Advanced Training SessionsThere’s nothing like having dedicated time in person to FOCUS and connect with others! The relationships you’ll make here will expand beyond this event and beyond your LIVE video training! Many of our community members have become friends who support each other in lifeoutside this group.The event will be in Vancouver, Washington (you’ll fly into Portland, Oregon) and Luria and David will provide hands on and additional training for you to take your LIVE Videos to the Next NEXT Level! 🙂 DATE: July 20thMeals will be on your own and we highly encourage you use that time to connect with your fellow students and take a mental break so you can come back refreshed and ready for more training!Spend time with us & your community! Go even deeper with additional training and hands on tech time!Shortcode could not be renderedWhat EXACTLY is an Implementation Program?It means you’re not taking just another course that you’ll never do anything with!We created the L.P.P. Implementation Method to help avoid overwhelm and keep you moving!LPP Implementation MethodLEARN a small amount of informationPRACTICE that new knowledge in our private group and get comfortablePREP so that it’s ready for prime timeIMPLEMENT it in “the real world”!Each section of this program walks you through the LPP Implementation Method BEFORE YOU MOVE ON to another section!This way you don’t CRAM ALL THE INFO in at once… then try to implement it! Things WILL get lost!What you get in “Start My Show”In Depth Training5 Modules of training done at your own pace that will build a solid foundation for your LIVE Video efforts!Private Practice GroupA PRIVATE and SAFE place to practice what you learn… before launching it to “the real world”!Workbooks & GuidesImplementation Guides and Workbooks to help you USE the info you learn more effectively!Plus these additional benefits in  “Grow with Advanced Strategies”Advanced Training Program10 Modules of training (bundle of 2 programs) to advance your LIVE Video results & ROI!Weekly LIVE Training + Q&A with LuriaTraining for the Advanced Program is done LIVE with Q&A. And if you can’t make it to the LIVE videos, you’ll be able to watch the replays (edited to maximize your time spent)!These will begin first week of April and continue until the Live Event.Weekly LIVE Tech Q&A with DavidYou’ll have plenty of training for your Level 4 setup, but when you get stuck, jump on a weekly Tech Call with David to get your questions answered!Access to the Super Supportive Private CommunityIn addition to having a place to practice what you learn, you’ll also have access to our PRIVATE COMMUNITY so you can connect with others and get unstuck!Private In-Person LIVE EventThis Live Event is ONLY open to students of this program. You’ll get ADDITIONAL training, time with us and your community in person (the best kind of connection!)!You’ll receive 1 Ticket to a single day of Advanced & Hands On Training, held in Portland, Oregon.Access to Event LIVE Stream & ReplaysCan’t make it to the event? That’s okay, you’ll still get the additional Advanced Training via a special, private LIVE Stream!And yes… you’ll have access to the REPLAY too!Are you the right fit?If you’ve read this far… chances are you and I are about to be super fast friends!But, this program isn’t for everyone, so let’s make sure it’s right for you!This is right for you if…You know you have something to offer this world and you want to HELP or CONNECT WITH PEOPLEYou’re willing to put in the work to see the results you want (nothing worth doing is easy… including LIVE Video!)You’re willing to step outside of your comfort zone. You can’t reach your full potential by playing small!This is NOT right for you if…You’re looking for TACTICS to allow you to get fancy numbers without true community.You just don’t care about people.You’re unwilling to spend time growing your show.Which Package is Right for You?Start My ShowIf you want to GET STARTED quickly and you’re not ready for Advanced Techniques, this On Demand Program will give you a SOLID foundation for your LIVE Video Strategy!Advanced: Start & Grow BundleIf you know you’re ready to take LIVE Video SERIOUSLY and you want it to be a big part of your audience and business growth, then this Program is for you! With a combination of On Demand + LIVE Training & Q&A’s, you get support to help you get unstuck! Don’t forget! You ALSO get access to our In Person Live Event where you’ll get additional training + access to the live stream & replays!Why me?I’ve been doing LIVE Video for 12 years and have experience on every level.From my home studio building a community of 2 million followers and racking up 4,000 videos with 1 Billion Views. To high pressure super professional streams working with Panasonic, Samsung, AT&T and more. All that from a shy girl who never wanted to be in front of a camera. I’d LOVE to share all this knowledge with you and help you achieve your goals! If I can do this… you can do it!!!!Tag: Start and Grow Your Professional Live Video Show – Luria and David Review. Start and Grow Your Professional Live Video Show – Luria and David download. Start and Grow Your Professional Live Video Show – Luria and David discount.